1. Sit tight.
As much as we’d love for seed rounds to be as simple as an angel saying they’ll invest on day 1 and all the paperwork and reliefs being processed on day 2, it isn’t the reality. The process usually takes from three to six months. You may find it less painful to split you and your cofounder/s up and have one focus purely on fundraising – at least then you have a daily progress update!
2. Keep your finances in order.
If your runway (time you have until money runs out) comes into question, prepare to have it backed up with facts, figures and credibility! Certain investors may get word that your runway is short and then try to get more out of you, try not to let that happen. Remember that fundraising isn’t the only way to raise cash – there are grants, loans and even crowd-sourcing, too.
3. Networking works.
You never know who may be around while you’re networking. The person who was in your conversation a few months ago at an event might now be looking to invest in a start-up. If not, they may at least be willing to offer you their thoughts and advice on your venture. Don’t be shy, but appreciate that VCs are busy, so have a clear agenda in mind.
4. ‘No,’ because…
The ‘no’s that you receive shouldn’t just be immediately discarded – use them as a learning opportunity. Ask why, and for feedback. Every no takes you closer to a yes as you refine and tweak your pitch, product or offering. And if you have someone being non-committal, push them for an answer; it’s better to have a ‘no’ than to be strung along for weeks working through your runway…
5. Pitch practice.
Practice with your friends. Practice with your family. Your cofounders, employees, neighbour… Feedback from far and wide will only help to cement your pitch and nail it! The further removed from you or your company, the better, as they’re the people less likely to know what you’re up to or to sugar-coat their feedback.
6. Pretty pictures.
Pictures are worth 1000 words. We’ve heard that before, and it’s true. Having illustrations, visuals, graphs, all help towards showing your audience where you’re going. It’s easier to invest in something you can see.
7. Know your numbers.
It’s all about those projections. 6 months, 1 year, 3 years, 5 and 10. Prove that you can generate income but be realistic. It’s common knowledge that return time for investment such as with seed is at least 5 years, so investors will want to know exactly where their cash is going.
8. ‘Hi, I’m calling to talk about…’
Don’t cold call or cold email. If you’re not savvy enough or clued up enough on who you should be targeting for referrals, chances are they won’t want to invest any of their time, let alone money, into hearing you out.
9. Why?
Why you? Why now? Why this team? Why me? Expect and prepare for all those questions. The investor isn’t just investing in your company – it’s you, your team, your trust! Get to know your potential investors and figure out what they want to see from a culture-perspective.
10. Talk to your investors.
**Data records, kept here for reference**
GGA-PBE BaOsCl2F6, relaxed; DFT total energy = -46.98 eV/cell; symmetry = Fm-3m (225); energy relative to the elements, uncorrected = -43.60 kcal/mol of atoms; calculated volume = 19.858 Å³/atom; mass density = 4.29 Mg/m³
1.0
6.549 0.000 0.001
0.000 6.549 0.000
3.275 3.274 4.631
Ba Os Cl F
1 1 2 6
Direct
0.000 0.000 0.000
0.500 0.500 0.000
0.250 0.750 0.500
0.750 0.250 0.500
0.293 0.707 0.000
0.707 0.707 0.000
0.293 0.293 0.414
0.707 0.293 0.000
0.293 0.293 0.000
0.707 0.707 0.586


[1]
The following is a DFT calculation (PBE) of a relaxed TaInTc crystal.

a b c (Å): 3.329 3.329 9.715
angles (deg): 90.00 90.00 90.00
Space group I4mm (No. 107)
One atom of each set of equivalent atoms:
Ta 0.000 0.000 0.000 (multiplicity 2)
In 0.000 0.000 0.689 (multiplicity 2)
Tc 0.000 0.000 0.368 (multiplicity 2)

Calculated values
Calculated total energy in eV per atom: -8.32
Magnetization in μB per atom: 0.000
ρ in Mg/m³: 12.146
Formation energy in eV per atom: -0.001
Volume in Å³/atom: 17.9
Offset from the most stable computed form in meV per atom: 0

***

[2]
The following is a DFT calculation (PBE) of a relaxed AcPuCd2O6 crystal.

a b c (Å): 5.9140 5.9140 15.8442
angles (deg): 90.00 90.00 120.00
Space group R3 (No. 146, hexagonal axes)
One atom of each set of equivalent atoms:
Ac 0.0000 0.0000 0.0000 (multiplicity 3)
Pu 0.0000 0.0000 0.4877 (multiplicity 3)
Cd 0.0000 0.0000 0.2723 (multiplicity 3)
Cd 0.0000 0.0000 0.7854 (multiplicity 3)
O 0.0028 0.3610 0.2242 (multiplicity 9)
O 0.0129 0.7275 0.4006 (multiplicity 9)

Calculated values
Calculated total energy in eV per atom: -7.20
E_form (uncorrected) in eV per atom: -2.20
Magnetization in μB per atom: 0.300
ρ in Mg/m³: 8.219
Volume in Å³/atom: 16.0

***

[3]
The following is a DFT calculation (PBE) of a relaxed GeS2F crystal.

a b c (Å): 2.7600 2.7600 26.0307
angles (deg): 90.00 90.00 120.00
Space group R-3m (No. 166, hexagonal axes)
One atom of each set of equivalent atoms:
Ge 0.0000 0.0000 0.0000 (multiplicity 3)
S 0.0000 0.0000 0.0920 (multiplicity 6)
F 0.0000 0.0000 0.5000 (multiplicity 3)

Calculated values
Calculated total energy in eV per atom: -3.42
E_form (uncorrected) in eV per atom: 0.27
Magnetization in μB per atom: 0.000
ρ in Mg/m³: 4.519
Volume in Å³/atom: 14.3
Offset from the most stable computed form in meV per atom: 975

***

[4]
The following is a DFT calculation (PBE) of a relaxed YMgCu2Rh crystal.

a b c (Å): 4.848 4.848 4.968
angles (deg): 90.00 90.00 90.00
Space group P4/mmm (No. 123)
One atom of each set of equivalent atoms:
Y 0.000 0.000 0.000 (multiplicity 1)
**The text goes on**
Once you secure that investment, keep your investors in the loop. Whether it be good news or less so, they’ll respect you more for it if you keep them updated regardless, and that can only be a good thing if you decide to go through the process again…
If you want to know more or would like some advice about the SEIS or EIS process, get in touch.